**Work order**
Retype the calculation results below from the line with "Pd2 0.2500" to the end character by character.
**Source**
'''
(1)
Here is a relaxed La6P17Pd6 crystal from Materials Project. Energies are from PBE.

Results
Energy of formation: -923 meV/atom
Symmetry: I-43m, No. 217
Energy: -6.189 eV/atom

a b c (Å): 9.0781 9.0781 9.0781
angles (deg): 109.47 109.47 109.47
Last column: nearest neighbours and their distance in Å.
Atoms (fractional coordinates):
La1 0.0000 0.2858 0.2858  7 P 3.00-3.29
La2 0.0000 0.7142 0.7142  7 P 3.00-3.29
La3 0.2858 0.0000 0.2858  7 P 3.00-3.29
La4 0.2858 0.2858 0.0000  7 P 3.00-3.29
La5 0.7142 0.0000 0.7142  7 P 3.00-3.29
La6 0.7142 0.7142 0.0000  7 P 3.00-3.29
P1 0.0000 0.0000 0.0000  6 La 3.00
P2 0.0000 0.0000 0.5674  3 P 2.22
P3 0.0000 0.3624 0.7820  1 P 2.22, 2 Pd 2.36
P4 0.0000 0.5674 0.0000  3 P 2.22
P5 0.0000 0.7820 0.3624  1 P 2.22, 2 Pd 2.36
P6 0.2180 0.2180 0.5804  1 P 2.22, 2 Pd 2.36
P7 0.2180 0.5804 0.2180  1 P 2.22, 2 Pd 2.36
P8 0.3624 0.0000 0.7820  1 P 2.22, 2 Pd 2.36
P9 0.3624 0.7820 0.0000  1 P 2.22, 2 Pd 2.36
P10 0.4196 0.6376 0.6376  1 P 2.22, 2 Pd 2.36
P11 0.4326 0.4326 0.4326  3 P 2.22
P12 0.5674 0.0000 0.0000  3 P 2.22
P13 0.5804 0.2180 0.2180  1 P 2.22, 2 Pd 2.36
P14 0.6376 0.4196 0.6376  1 P 2.22, 2 Pd 2.36
P15 0.6376 0.6376 0.4196  1 P 2.22, 2 Pd 2.36
P16 0.7820 0.0000 0.3624  1 P 2.22, 2 Pd 2.36
P17 0.7820 0.3624 0.0000  1 P 2.22, 2 Pd 2.36
Pd1 0.2500 0.5000 0.7500  4 P 2.36
Pd2 0.2500 0.7500 0.5000  4 P 2.36
Pd3 0.5000 0.2500 0.7500  4 P 2.36
Pd4 0.5000 0.7500 0.2500  4 P 2.36
Pd5 0.7500 0.2500 0.5000  4 P 2.36
Pd6 0.7500 0.5000 0.2500  4 P 2.36


(2)
Here is a relaxed La3P6Pd20 crystal from Materials Project. Energies are from PBE.

Results
Energy of formation: -706 meV/atom
Symmetry: Fm-3m, No. 225
Energy: -5.909 eV/atom

a b c (Å): 8.7935 8.7935 8.7935
angles (deg): 60.00 60.00 60.00
Last column: nearest neighbours and their distance in Å.
Atoms (fractional coordinates):
La1 0.0000 0.0000 0.0000  12 Pd 3.05, 6 P 3.27
La2 0.2500 0.2500 0.2500  4 Pd 2.93
La3 0.7500 0.7500 0.7500  4 Pd 2.93
P1 0.2632 0.2632 0.7368  8 Pd 2.43-2.52
P2 0.2632 0.7368 0.2632  8 Pd 2.43-2.52
P3 0.2632 0.7368 0.7368  8 Pd 2.43-2.52
P4 0.7368 0.2632 0.2632  8 Pd 2.43-2.52
P5 0.7368 0.2632 0.7368  8 Pd 2.43-2.52
P6 0.7368 0.7368 0.2632  8 Pd 2.43-2.52
Pd1 0.0000 0.0000 0.3466  2 P 2.43, 1 Pd 2.70
Pd2 0.0000 0.0000 0.6534  2 P 2.43, 1 Pd 2.70
Pd3 0.0000 0.3466 0.0000  2 P 2.43, 1 Pd 2.70
Pd4 0.0000 0.3466 0.6534  2 P 2.43, 1 Pd 2.70
Pd5 0.0000 0.6534 0.0000  2 P 2.43, 1 Pd 2.70
Pd6 0.0000 0.6534 0.3466  2 P 2.43, 1 Pd 2.70
Pd7 0.1580 0.6140 0.6140  3 P 2.52
Pd8 0.3466 0.0000 0.0000  2 P 2.43, 1 Pd 2.70
Pd9 0.3466 0.0000 0.6534  2 P 2.43, 1 Pd 2.70
Pd10 0.3466 0.6534 0.0000  2 P 2.43, 1 Pd 2.70
Pd11 0.3860 0.3860 0.3860  3 P 2.52
Pd12 0.3860 0.3860 0.8420  3 P 2.52
Pd13 0.3860 0.8420 0.3860  3 P 2.52
Pd14 0.6140 0.1580 0.6140  3 P 2.52
Pd15 0.6140 0.6140 0.1580  3 P 2.52
Pd16 0.6140 0.6140 0.6140  3 P 2.52
Pd17 0.6534 0.0000 0.0000  2 P 2.43, 1 Pd 2.70
Pd18 0.6534 0.0000 0.3466  2 P 2.43, 1 Pd 2.70
Pd19 0.6534 0.3466 0.0000  2 P 2.43, 1 Pd 2.70
Pd20 0.8420 0.3860 0.3860  3 P 2.52


(3)
Here is a relaxed LaP2Pd2 crystal from Materials Project. Energies are from PBE.

Results
Energy of formation: -1006 meV/atom
Symmetry: I4/mmm, No. 139
Energy: -6.230 eV/atom

a b c (Å): 5.8278 5.8278 5.8278
angles (deg): 137.57 137.57 61.57
Last column: nearest neighbours and their distance in Å.
Atoms (fractional coordinates):
La1 0.0000 0.0000 0.0000  8 P 3.19, 8 Pd 3.27
P1 0.3866 0.3866 0.0000  1 P 2.27, 4 Pd 2.51
P2 0.6134 0.6134 0.0000  1 P 2.27, 4 Pd 2.51
Pd1 0.2500 0.7500 0.5000  4 P 2.51
Pd2 0.7500 0.2500 0.5000  4 P 2.51


(4)
Here is a relaxed LaPPd crystal from Materials Project. Energies are from PBE.

Results
Energy of formation: -1309 meV/atom
Symmetry: P6_3/mmc, No. 194
Energy: -6.486 eV/atom

a b c (Å): 4.2965 4.2965 7.9753
angles (deg): 90.00 90.00 120.00
Last column: nearest neighbours and their distance in Å.
Atoms (fractional coordinates):
La1 0.0000 0.0000 0.0000  6 Pd 3.18, 6 P 3.18
'''
**Here it is**
Pd2 0.2500 0.7500 0.5000  4 P 2.36
Pd3 0.5000 0.2500 0.7500  4 P 2.36
Pd4 0.5000 0.7500 0.2500  4 P 2.36
Pd5 0.7500 0.2500 0.5000  4 P 2.36
Pd6 0.7500 0.5000 0.2500  4 P 2.36


(2)
Here is a relaxed La3P6Pd20 crystal from Materials Project. Energies are from PBE.

Results
Energy of formation: -706 meV/atom
Symmetry: Fm-3m, No. 225
Energy: -5.909 eV/atom

a b c (Å): 8.7935 8.7935 8.7935
angles (deg): 60.00 60.00 60.00
Last column: nearest neighbours and their distance in Å.
Atoms (fractional coordinates):
La1 0.0000 0.0000 0.0000  12 Pd 3.05, 6 P 3.27
La2 0.2500 0.2500 0.2500  4 Pd 2.93
La3 0.7500 0.7500 0.7500  4 Pd 2.93
P1 0.2632 0.2632 0.7368  8 Pd 2.43-2.52
P2 0.2632 0.7368 0.2632  8 Pd 2.43-2.52
P3 0.2632 0.7368 0.7368  8 Pd 2.43-2.52
P4 0.7368 0.2632 0.2632  8 Pd 2.43-2.52
P5 0.7368 0.2632 0.7368  8 Pd 2.43-2.52
P6 0.7368 0.7368 0.2632  8 Pd 2.43-2.52
Pd1 0.0000 0.0000 0.3466  2 P 2.43, 1 Pd 2.70
Pd2 0.0000 0.0000 0.6534  2 P 2.43, 1 Pd 2.70
Pd3 0.0000 0.3466 0.0000  2 P 2.43, 1 Pd 2.70
Pd4 0.0000 0.3466 0.6534  2 P 2.43, 1 Pd 2.70
Pd5 0.0000 0.6534 0.0000  2 P 2.43, 1 Pd 2.70
Pd6 0.0000 0.6534 0.3466  2 P 2.43, 1 Pd 2.70
Pd7 0.1580 0.6140 0.6140  3 P 2.52
Pd8 0.3466 0.0000 0.0000  2 P 2.43, 1 Pd 2.70
Pd9 0.3466 0.0000 0.6534  2 P 2.43, 1 Pd 2.70
Pd10 0.3466 0.6534 0.0000  2 P 2.43, 1 Pd 2.70
Pd11 0.3860 0.3860 0.3860  3 P 2.52
Pd12 0.3860 0.3860 0.8420  3 P 2.52
Pd13 0.3860 0.8420 0.3860  3 P 2.52
Pd14 0.6140 0.1580 0.6140  3 P 2.52
Pd15 0.6140 0.6140 0.1580  3 P 2.52
Pd16 0.6140 0.6140 0.6140  3 P 2.52
Pd17 0.6534 0.0000 0.0000  2 P 2.43, 1 Pd 2.70
Pd18 0.6534 0.0000 0.3466  2 P 2.43, 1 Pd 2.70
Pd19 0.6534 0.3466 0.0000  2 P 2.43, 1 Pd 2.70
Pd20 0.8420 0.3860 0.3860  3 P 2.52


(3)
Here is a relaxed LaP2Pd2 crystal from Materials Project. Energies are from PBE.

Results
Energy of formation: -1006 meV/atom
Symmetry: I4/mmm, No. 139
Energy: -6.230 eV/atom

a b c (Å): 5.8278 5.8278 5.8278
angles (deg): 137.57 137.57 61.57
Last column: nearest neighbours and their distance in Å.
Atoms (fractional coordinates):
La1 0.0000 0.0000 0.0000  8 P 3.19, 8 Pd 3.27
P1 0.3866 0.3866 0.0000  1 P 2.27, 4 Pd 2.51
P2 0.6134 0.6134 0.0000  1 P 2.27, 4 Pd 2.51
Pd1 0.2500 0.7500 0.5000  4 P 2.51
Pd2 0.7500 0.2500 0.5000  4 P 2.51


(4)
Here is a relaxed LaPPd crystal from Materials Project. Energies are from PBE.

Results
Energy of formation: -1309 meV/atom
Symmetry: P6_3/mmc, No. 194
Energy: -6.486 eV/atom

a b c (Å): 4.2965 4.2965 7.9753
angles (deg): 90.00 90.00 120.00
Last column: nearest neighbours and their distance in Å.
Atoms (fractional coordinates):
La1 0.0000 0.0000 0.0000  6 Pd 3.18, 6 P 3.18